
241 11.6

Time passes for cultivators quickly. Seven years had passed in the blink of an eye, and the annual Demon Secret Realm was about to open.

It was rumoured that millions of years ago, the Demons wanted to attack the Cultivation Realm, and in order to enter the Cultivation Realm, they created this secret passage.

At that time, countless cultivators chose to enter this secret realm in order to stop the invasion of the demons.

The demon king was killed, but all the great powers in the cultivation world fell. The originally thriving cultivation world was suddenly deprived of these numerous great powers, and for a long time afterwards, advancement in the cultivation world stagnated, unable to reach the heights of the great powers of that time.

After the death of the Demon King, all the remaining demons were killed by the cultivators, and the secret realm became less threatening. In order that subsequent cultivators could remember this fierce and brutal war, the cultivation world did not destroy the secret realm but chose to open it once every ten years, allowing Foundation Establishment cultivators to enter the realm for fifteen days of sharpening.

However, by the time Feng Baixiao and Shui Kongling entered the secret realm, the divine consciousness of the Demon King revived, and he attempted to injure Feng Baixiao to take over his body. During the fight between the demon king and Feng Baixiao, Shui Kongling blocked an attack for Feng Baixiao, and Feng Baixiao seized the opportunity to strangle the divine sense of the demon king, who had not fully recovered.

- - -
{"formula": "NpSbH2O6", "functional": "PBE", "state": "relaxed", "cell": [[-3.028, 2.475, 3.390], [-0.921, -4.907, 2.760], [6.154, 1.816, 5.284]], "species": ["H", "H", "H", "H", "O", "O", "O", "O", "O", "O", "O", "O", "O", "O", "O", "O", "Np", "Np", "Sb", "Sb"], "frac_coords": [[0.338, 0.570, 0.255], [0.162, 0.070, 0.245], [0.662, 0.430, 0.745], [0.838, 0.930, 0.755], [0.200, 0.799, 0.945], [0.825, 0.209, 0.438], [0.675, 0.709, 0.062], [0.700, 0.701, 0.445], [0.654, 0.977, 0.762], [0.325, 0.291, 0.938], [0.846, 0.477, 0.738], [0.300, 0.299, 0.555], [0.175, 0.791, 0.562], [0.346, 0.023, 0.238], [0.800, 0.201, 0.055], [0.154, 0.523, 0.262], [0.000, 0.500, 0.000], [0.500, 0.000, 0.500], [0.000, 0.500, 0.500], [0.500, 0.000, 0.000]], "e_tot_ev_per_atom": -7.10, "space_group": "P2_1/c", "mass_density_g_cm3": 6.21, "m_tot_mub_per_cell": 4.0}

{"formula": "TcTe2N", "functional": "PBE", "state": "relaxed", "cell": [[5.682, 0.000, 0.000], [0.000, 5.682, 0.000], [2.841, 2.841, 5.497]], "species": ["N", "N", "Te", "Te", "Te", "Te", "Tc", "Tc"], "frac_coords": [[0.250, 0.750, 0.500], [0.500, 0.500, 0.000], [0.158, 0.625, 0.250], [0.375, 0.408, 0.750], [0.875, 0.842, 0.750], [0.592, 0.125, 0.250], [0.000, 0.000, 0.000], [0.750, 0.250, 0.500]], "e_tot_ev_per_atom": -5.34, "de_polymorph_mev_per_atom": 127, "space_group": "I-42d", "formation_energy_uncorrected_ev_per_atom": 0.91, "mass_density_g_cm3": 6.87, "m_tot_mub_per_cell": 0.0}

{"formula": "La2ScTa2", "functional": "PBE", "state": "relaxed", "cell": [[-2.622, 2.720, -0.576], [-2.626, -2.683, -0.714], [-5.039, -0.230, 9.173]], "species": ["Ta", "Ta", "La", "La", "Sc"], "frac_coords": [[0.750, 0.250, 0.500], [0.250, 0.750, 0.500], [0.380, 0.380, 0.239], [0.620, 0.620, 0.761], [0.000, 0.000, 0.000]], "e_tot_ev_per_atom": -7.34, "de_polymorph_mev_per_atom": 0, "space_group": "I4/mmm", "mass_density_g_cm3": 7.70, "m_tot_mub_per_cell": 0.0, "formation_enthalpy_0k_kj_per_mol_atoms": 61.5}

{"formula": "Ac2PuTc2N6", "functional": "PBE", "state": "relaxed", "cell": [[-5.818, -0.350, 0.738], [-3.297, -2.836, -3.951], [-2.329, -6.250, 2.061]], "species": ["Ac", "Ac", "Tc", "Tc", "Pu", "N", "N", "N", "N", "N", "N"], "frac_coords": [[0.788, 0.788, 0.635], [0.212, 0.212, 0.365], [0.399, 0.399, 0.804], [0.601, 0.601, 0.196], [0.000, 0.000, 0.000], [0.747, 0.231, 0.276], [0.231, 0.747, 0.276], [0.769, 0.253, 0.724], [0.253, 0.769, 0.724], [0.747, 0.747, 0.276], [0.253, 0.253, 0.724]], "e_tot_ev_per_atom": -9.14, "space_group": "R-3m", "formation_energy_uncorrected_ev_per_atom": -0.67, "mass_density_g_cm3": 8.90, "m_tot_mub_per_cell": 5.4}
- - -

Bai Lixin wanted to enter this secret realm to make sure that his lover wasn't the persecuted Demon King. There had been previous cases, hadn't there?

In the dragon world, his lover had been sealed for a thousand years; in the vampire world, his lover had been sealed for tens of thousands of years. Too many previous experiences made Bai Lixin eager to ascertain whether his lover might have turned into a demon king of these demons.

Apart from looking after the uninhabited Xuanyuan peak for the past seven years, Bai Lixin had also studied the secret manual given to him by Daoist Yixiao.

He had once transversed to a cultivation world in the early days when he had just bound to the system. At that time, he even had one foot in the Immortal Realm, only that he chose to leave after his mission was completed.

After the battle with the demons ten thousand years ago, the cultivation world suffered heavy losses. Many secret books and manuals had been lost, many magic treasures were also broken, and even the spiritual energy in them was absorbed by the great cultivators at that time in order to fight against the demons.

After the end of the demon war, the cultivation world returned to its initial point, where spiritual qi was thin and advancement was difficult. Secret texts were lost, and the cultivation world nearly collapsed.

At that time, even if they were geniuses, cultivators could only reach the Golden Elixir stage at most, and most of them were stuck at the Qi Refining stage and stagnated.

After thousands of years, the spiritual energy of the cultivation world gradually filled up, and the secret books were gradually restored by the great powers, but the effect could only be half of what it was thousands of years before.

The secret manual Daoist Yixiao gave him was only an upper-grade secret book, but Bai Lixin discovered through his memory restoration that it was originally a Heavenly-grade secret book!

Because this secret manual was originally a precious and incomparable Heaven-ranked upper-grade secret book, many people failed to comprehend it because it was obscure and difficult to understand. It was also because of this that many of the disciples who entered Xuanyuan Peak left when they realised that their cultivation had not improved at all. They either joined another peak or chose to go down the mountain.

The fact that Daoist Yixiao was able to understand the secret book and enter into the Perfect Golden Elixir stage showed how high his enlightenment was.

-- Between two parts of the entry: records of crystals --
- - -
# 1
Density functional theory data (PBE) for an optimized crystal structure of Sc2Co.

Structure (POSCAR):
```
Sc2Co
1.0
0.000 3.093 3.093
3.093 0.000 3.093
3.093 3.093 0.000
Sc Co
2 1
direct
0.250 0.250 0.250
0.750 0.750 0.750
0.000 0.000 0.000
```

Energy of formation from the pure elements = -0.12 eV per atom
Total energy = -0.493 Ry per atom


# 2
Density functional theory data (PBE) for an optimized crystal structure of AlAg7.

Structure (POSCAR):
```
AlAg7
1.0
5.026 0.000 0.000
-0.794 5.006 0.000
-1.580 -0.277 5.587
Al Ag
1 7
direct
0.000 0.000 0.000
0.000 0.000 0.500
0.002 0.498 0.753
0.490 0.251 0.370
0.498 0.243 0.876
0.502 0.757 0.124
0.510 0.749 0.630
0.998 0.502 0.247
```

Energy of formation from the pure elements = -0.01 eV per atom
Energy relative to the lowest polymorph listed for this composition = 0.011 eV/atom
Total energy = -0.219 Ry per atom


# 3
Density functional theory data (PBE) for an optimized crystal structure of ZrTcGe2.

Structure (POSCAR):
```
ZrTcGe2
1.0
0.000 3.216 3.216
3.216 0.000 3.216
3.216 3.216 0.000
Zr Tc Ge
1 1 2
direct
0.000 0.000 0.000
0.500 0.500 0.500
0.250 0.250 0.250
0.750 0.750 0.750
```

Energy of formation from the pure elements = -0.25 eV per atom
Energy relative to the lowest polymorph listed for this composition = 0.103 eV/atom
Total energy = -0.536 Ry per atom


# 4
Density functional theory data (PBE) for an optimized crystal structure of TbPm2Sm4Sc.

Structure (POSCAR):
```
TbPm2Sm4Sc
1.0
5.064 0.000 0.000
0.000 5.072 0.000
-0.007 0.000 10.095
Tb Pm Sm Sc
1 2 4 1
direct
0.000 0.000 0.000
0.000 0.000 0.500
0.500 0.500 0.000
0.000 0.500 0.255
0.000 0.500 0.745
0.500 0.000 0.255
0.500 0.000 0.745
0.500 0.500 0.500
```

Energy of formation from the pure elements = 0.03 eV per atom
Total energy = -0.359 Ry per atom


# 5
Density functional theory data (PBE) for an optimized crystal structure of La9Tb2Tm.

Structure (POSCAR):
```
La9Tb2Tm
1.0
5.200 0.000 0.000
0.000 5.200 0.000
0.000 0.000 15.608
La Tb Tm
9 2 1
direct
0.000 0.000 0.000
0.000 0.000 0.333
0.000 0.000 0.667
0.000 0.500 0.166
0.000 0.500 0.500
0.000 0.500 0.834
0.500 0.000 0.166
0.500 0.000 0.500
0.500 0.000 0.834
0.500 0.500 0.333
0.500 0.500 0.667
0.500 0.500 0.000
```

Energy of formation from the pure elements = 0.01 eV per atom
Total energy = -0.355 Ry per atom


# 6
Density functional theory data (PBE) for an optimized crystal structure of B3SbS.

Structure (POSCAR):
```
B3SbS
1.0
3.971 0.000 0.000
0.000 3.971 0.000
0.000 0.000 3.971
B Sb S
3 1 1
direct
0.000 0.000 0.500
0.000 0.500 0.000
0.500 0.000 0.000
0.500 0.500 0.500
0.000 0.000 0.000
```

Energy relative to the lowest polymorph listed for this composition = 0.000 eV/atom
Formation energy without anion corrections = 1.5444 eV/atom
Total energy = -0.302 Ry per atom


# 7
Density functional theory data (PBE) for an optimized crystal structure of Na2AlSn2.

Structure (POSCAR):
```
Na2AlSn2
1.0
8.246 0.000 0.000
0.000 8.246 0.000
0.000 0.000 3.840
Na Al Sn
4 2 4
direct
- - -

Bai Lixin's cultivation level could be said to be increasing by leaps and bounds, but in order not to attract attention, he suppressed his cultivation level to stay at the fifth level of Qi refinement.

Apart from cultivating the secret book, Ba Lixin was also keeping an eye on the movement of the divine weapon, the Three-Bladed Trident. Every now and then he would go to the place where the three-bladed halberd was to check it out. The place where the three-bladed halberd was sealed had been left unattended for seven consecutive years. Every time he came to the seal, the three-bladed halberd's hostility towards him had never decayed.

Because of the desolation of Xuanyuan Peak and the fact that cultivators are used to living in isolation, onlookers had not been informed of its changes in the past seven years.

On this day, Bai Lixin was watering the medicinal garden not far from Daoist Yixiao's seclusion cave when he felt a sudden surge of spiritual energy around him. Above the cave where Daoist Yixiao was cultivating, purple qi came from the east and golden light overflowed. Bai Lixin froze at the sight. The Daoist Yixiao was about to advance!

Daoist Yixiao had been stuck at the Golden Elixir stage for a long time. He appeared to have always had a knot in his heart, as he had failed to advance twice. It was already his third try.

There will be visions in the sky when a practitioner advances. In addition to the calamity that accompanies each advance, there are often many symbols of good fortune in the sky, such as the purple qi that was now appearing, and the abundance of spiritual energy in the air.

The moment a practitioner advances, his body will suddenly burst with abundant spiritual energy. So, when a powerful practitioner advances, surrounding practitioners will rush to the vicinity of the advancing practitioner to absorb the spiritual energy that escapes and increase their cultivation with half the effort.

After the auspicious clouds of purple energy, lightning and thunder began to ring out behind the auspicious clouds. In contrast to the day the Nine Heavenly Demon King advanced, when the thunder was terrible and fierce, this thunder tribulation appeared gentle. The sky did not show any sign of darkening because of the blessings of the purple Qi.

In the process of Daoist Yixiao's advancement, more and more cultivators from other peaks rushed over. They had no time to be surprised by the changes on Xuanyuan Peak, but quickly found a place to sit and meditate, just waiting for Daoist Yixiao to succeed in his tribulation so that they could make use of his spiritual energy to refine their cultivation.

The crowd came in droves, and Bai Lixin saw many faces again.

Bai Lixin was carrying a bucket of water in his hand at the moment, and without demonstrating his cultivation, he saw two or three people land beside him. One of them just casually swept a glance at him before setting up a boundary to enclose himself and another person.

Bai Lixin looked at Feng Baixiao's actions, and he couldn't help but spit out a sentence in his heart: Worthy of a male protagonist who can make Shui Kongling willingly block a sword for him. He's so attentive and considerate, handsome and extraordinary. Who wouldn't be moved? 

Bai Lixin only looked at them briefly before continuing to water the herbs with the wooden ladle in his hand.

The thirty-six thunderclaps all passed in the blink of an eye. As the thunderstorm passed, the auspicious clouds rolled over, and the purple air in the sky was gilded with a layer of gold.

Bai Lixin looked up at this symbol of good fortune, and suddenly saw a blinding golden light burst out of the cave where Daoist Yixiao was practicing, shooting straight up into the clouds!

There were countless spiritual energies in that golden light!

Bai Lixin's soul power was so strong that he could almost see the tiny particles of the spiritual energy with his naked eyes. The tiny particles then flew in different directions, as if being attracted.

Bai Lixin glanced at Feng Baixiao and Shui Kongling, who were meditating not far away from him, and saw that those small particles that no one else could see were flying into Feng Baixiao's at a very swift speed. Shui Kongling had also absorbed some. After all, she was only a member of the harem, so her level of absorption was naturally not as good as that of the Son of the World.

In the blink of an eye, the aura that was like a volcanic eruption was absorbed to the hilt.

Bai Lixin's eyes were sharp, and he narrowed his eyes to look at Feng Baixiao carefully. He saw many tiny golden particles surrounding him, and those particles were pulsating like mad, seemingly extremely excited.

Bai Lixin was wondering about this phenomenon when Feng Baixiao's body suddenly lit up and a bright halo spread outwards. Unexpectedly, he had entered the eighth level of foundation establishment!

In this short span of seven years, Feng Baixiao had advanced from the sixth level of foundation establishment to the eighth level of foundation establishment.

As Feng Baixiao had set up a boundary around himself in advance, the spiritual energy generated with his advancement did not have time to break through the boundary before it was reabsorbed by Shui Kongling and Feng Baixiao.

Only when all the spiritual energy had been absorbed did Feng Baixiao and Shui Kongling open their eyes and smile at each other.

Shui Kongling revealed a grateful and delicate expression, "Senior brother, thank you for letting me absorb your spiritual energy."

Although Feng Baixiao was smiling, it felt like he was not smiling, but Shui Kongling could not see it. He only said, "Junior sister Shui has a high level of enlightenment. I did not expect that I would be able to advance to the eighth level of foundation building with the spiritual qi escaping from senior uncle Yixiao.  This was our chance, so junior sister does not need to say thank you. "

Even a fool could see that Shui Kongling was interested in Feng Bai Xiao, but Feng Bai Xiao was now like a worldly immortal. It wasn't that he was stupid or pretending to be stupid; he was blatantly ignoring Shui Kongling's love.

Daoist Yixiao had tried three times and had now finally advanced. Cultivators who benefited from his advancement could not leave right away, so they waited outside the cave to congratulate him.

Bai Lixin watched as more and more sect leaders and senior brothers and sisters gathered. He had to stop his work and greet them one by one.

Only then did Feng Baixiao seem to notice Bai Lixin. After helping Shui Kongling up, he slowly walked to Bai Lixin and said, with those indifferent eyes, "Junior Brother Che, I never thought that you, as an outer disciple, would have a higher cultivation level than even the inner disciples of the same period. You have reached the fifth level of the Qi refining stage in just five years. Did you reach this stage with that outer disciple's secret book alone, or did you secretly learn some secret book of my sect that is not passed on to the outside world? "

Feng Baixiao's voice was not too loud, but his voice naturally reached the ears of the people around him word for word.

In a flash, everyone around them looked over, their gazes all gathered on Bai Lixin.

Bai Lixin gave a dry laugh and said, "This…this is because…"

"It's naturally because I gave Little Cha my Xuanyuan peak's unique secret book!" A loud voice suddenly rang out from above the heads of the crowd just as Bai Lixin was thinking about how to organise his words. He looked up and saw a glowing Daoist Yixiao floating down!